Data:
#i
{"formula": "C33H40F3IrN3PSSb", "method": "ωB97M-V/def2-TZVPD", "symbols": ["Ir", "N", "N", "C", "N", "S", "H", "H", "H", "H", "H", "F", "C", "C", "C", "C", "C", "C", "Sb", "C", "C", "C", "C", "F", "C", "C", "C", "C", "C", "C", "F", "C", "C", "H", "H", "H", "H", "H", "H", "H", "H", "H", "H", "H", "H", "C", "C", "C", "C", "P", "C", "C", "C", "C", "C", "C", "C", "C", "C", "C", "H", "H", "H", "H", "H", "H", "H", "H", "H", "H", "H", "H", "H", "H", "H", "H", "H", "H", "H", "H", "H", "H", "H"], "positions_angstrom": [[0.148, 0.289, 0.462], [1.027, 0.713, 2.377], [1.270, 2.101, 2.551], [1.047, 2.991, 1.553], [1.314, 4.260, 1.793], [0.405, 2.521, 0.019], [0.335, 0.418, 3.069], [1.902, 0.229, 2.585], [1.619, 2.388, 3.456], [1.711, 4.589, 2.663], [1.104, 4.960, 1.097], [4.264, -6.206, 0.417], [3.893, -4.950, 0.247], [4.486, -4.210, -0.765], [4.096, -2.894, -0.941], [3.116, -2.345, -0.111], [2.542, -3.106, 0.909], [2.930, -4.422, 1.093], [2.585, -0.352, -0.395], [2.109, -0.072, -2.401], [1.756, -1.200, -3.150], [1.418, -1.064, -4.484], [1.439, 0.205, -5.044], [1.109, 0.341, -6.315], [1.797, 1.339, -4.326], [2.128, 1.197, -2.993], [4.116, 0.806, 0.417], [4.197, 2.184, 0.188], [5.259, 2.899, 0.710], [6.214, 2.223, 1.461], [7.223, 2.911, 1.959], [6.148, 0.861, 1.704], [5.088, 0.144, 1.173], [5.238, -4.668, -1.393], [4.559, -2.310, -1.729], [1.803, -2.683, 1.580], [2.514, -5.041, 1.876], [1.767, -2.188, -2.703], [1.157, -1.915, -5.099], [1.820, 2.299, -4.824], [2.421, 2.074, -2.430], [3.458, 2.703, -0.409], [5.374, 3.960, 0.534], [6.924, 0.382, 2.285], [5.042, -0.926, 1.334], [-1.071, -1.857, 0.860], [-2.088, -1.691, -0.284], [-3.375, -2.450, 0.012], [-1.437, -2.222, -1.568], [-2.188, 0.171, -0.333], [-3.254, 0.667, 1.036], [-4.608, 0.321, 1.048], [-5.417, 0.715, 2.102], [-4.891, 1.455, 3.153], [-3.551, 1.815, 3.146], [-2.741, 1.426, 2.091], [-2.759, 0.949, -1.917], [-1.592, 0.945, -2.917], [-3.982, 0.249, -2.519], [-3.109, 2.405, -1.566], [-0.831, -2.907, 1.045], [-1.387, -1.403, 1.801], [-0.001, -1.502, 0.550], [-3.167, -3.522, 0.018], [-4.126, -2.270, -0.757], [-3.799, -2.188, 0.981], [-1.140, -3.261, -1.412], [-0.547, -1.653, -1.849], [-2.127, -2.206, -2.409], [-5.041, -0.258, 0.245], [-6.464, 0.444, 2.101], [-5.530, 1.760, 3.970], [-3.151, 2.413, 3.954], [-1.710, 1.767, 2.053], [-1.346, -0.056, -3.271], [-0.690, 1.395, -2.495], [-1.882, 1.536, -3.787], [-3.784, -0.782, -2.806], [-4.258, 0.789, -3.426], [-4.850, 0.274, -1.861], [-2.278, 2.923, -1.082], [-3.980, 2.473, -0.916], [-3.337, 2.937, -2.490]], "total_charge": 3, "homo_energy_ha": [-0.6223, -0.6223], "homo_lumo_gap_ev": [6.3706, 6.3711]}

***

#ii

Activity:
It remains to work out how many lines further up have the word "positions_angstrom" in them; a number is enough.

Result:
1